Science Antagonism in the American Coronavirus Context

by Marina Choy, PhD Student, Humanities


Instances of scientific information misuse, denial or disregard on the part of President Trump and his administration have been numerous since the beginning of the Covid-19 pandemic, and many have deplored the Trump administration’s refusal to acknowledge the severity of the Covid-19 crisis and to follow science-based recommendations. But on the other hand, many also seem to share the Trump administration’s antagonistic attitude toward science, and argue that the coronavirus pandemic is not as serious as experts find it to be. How can we make sense of science antagonism and its persistence during the current global pandemic? In the American context, science antagonism can be articulated to populism, but also to larger cultural divides that have marked American contemporary history. 

We live in a moment where scientific opinion seems paramount in various aspects of our lives: scientists and experts are the ones with the tools to best understand the social, political, cultural and epidemiological circumstances surrounding this pandemic. They can best assess how we should accommodate our social, professional, and personal lives in order to stay safe, healthy and preserve others. In theory, given the novelty of the Covid-19 virus and the severity of its implications on people’s lives, political leaders cannot afford to disregard scientific findings and expert opinion. However, populist leaders will do so; one reason being that scientific, evidence-based policy-making often is inconvenient for them. Populist promises are typically straightforward and “simple”. Evidence-based policy-making can make these promises difficult to achieve (Hamilton, 2011). In the context of the Covid-19 pandemic, scientific findings and expert recommendations are incredibly inconvenient to Trump’s ultra-liberal and nationalist priorities. Interrupting economic growth, promoting collective action and solidarity, cooperating with and learning from other countries were never part of his plan. These recommendations based on science are thus not followed, or agreed to only partially and very reluctantly by the Trump administration. Meanwhile, Trump spreads chaos and confusion through public statements that are scientifically inaccurate (e.g., suggesting the virus would disappear with warmer temperatures), questions the accuracy of expert findings (e.g., suggesting that the Covid-19 death count was inflated), and encourages people to protest against the establishment of stay-at-home policies in the name of their individual freedom (e.g., tweeting “Liberate Michigan!”).

Getting away with science denial in the middle of a global pandemic may seem unlikely, but it is not. As political scientist Jan Werner Müller argues, science is not the primary concern of populists (2020). The power of populist leaders like Trump comes from the way in which they position themselves within the antagonizing “us vs. them” matrix that structures populism; “us” calling to the hardworking, authentic, common people and “them” referring to the corrupted elite. Populist leaders present themselves as the only true voice of the common people and as the only member of the ruling elite who actively shares and protects their values and rights. Consequently, anyone who is opposed to the leader is a member of the corrupted elite. Trump publicly frames anyone who voices opposition against his actions or words as a corrupted liar that manipulates the American people to serve their own interests. For populists, the battle to fight is not primarily about science, it is about “being American” and protecting American values (liberty, self-government and individualism above all). Operating within this matrix, Trump has furthered mistrust and antagonism toward federal institutions and the federal state in general, as well as toward any institution, agency or governing entity that might oppose him in some way. Implicitly, those giving science-based recommendations for policy-making that do not fit the Trump administration’s priorities count among members of the “corrupted elite” just like other oppositional voices do.  

Populism can only partially explain the pervasiveness and persistence of science antagonism in the United States, however. Trump’s populist leadership does contribute to articulating science as a mode of truth open to ideological bias, used against the people to serve the interests of a culturally progressive, cosmopolitan elite. But this articulation isn’t new: it has emerged and developed in the various “culture wars” occurring in the United States since the 1960s. In political battles over evolution, sex education, abortion, gay rights, and climate change, science has commonly been distorted, denied, and/or described by ultraconservative opponents of the Left as solely being used to serve the ideological interests of liberals. Opponents who then in turn often support their own arguments with conservative, think tank-produced research. In 2002, the Bush administration altered the National Cancer Institute website, removing an analysis stating that there is no link between abortion and breast cancer. They replaced it with a “fact sheet” that stated otherwise before their act was widely denounced as an attack on science and had to be undone (U.S. House of Representatives, 2003). This is just one example that shows how science has constituted a major site of struggle in deeply polarized and politicized cultural conflicts. Science antagonism has been tied to particular cultural perspectives and political agendas. In this particular example, it was tied to the Bush administration’s strong anti-abortion stance. 

The extent to which Trump and his administration are able to be overtly antagonistic toward science today is due to the fact that science denialism is not new in the United States. Trump is not a conservative leader but he benefits from the way in which some prominent conservatives have articulated science, as elitist and serving a culturally progressive agenda. The Bush administration was widely considered as “the most antagonistic administration toward science” to have governed the U.S., until the Union of Concerned Scientists found that the Trump administration led more “attacks on science” in 2.5 years than the Bush administration did over the course of 8 years (Carter et al., 2019 ; UCS, 2017). Today, Trump can surf on a deeply entrenched, long-existing cultural divide and strengthen his own position by relying on discourses and beliefs that were popular before him. In addition, throughout the five or six decades of culture wars, science has often been framed as entirely ideological by both conservatives and liberals. Liberals too have criticized the “scientific” production of conservative organizations and think tanks for being ideologically driven. Culture wars have shown Americans that science can be made and used to support one’s perspective and values, whether liberal or conservative: they have contributed to framing science as a partisan issue. Within such a context, it does not seem so surprising that many people are inclined to science denial or science skepticism today, even in the middle of a global pandemic.

The current COVID-19 crisis further confirms the antagonist attitude of the Trump administration toward science, made salient in pandemic-related public discourse and policy-making. But beyond that, it exacerbates long-existing and complex tensions in American culture in which science itself is a major site of struggle. 

**Unrelated to this entry: calculated crystals**
=====
Record 1
## YMgAl (PBE)

Data for a relaxed structure of YMgAl.

a = 7.365 Å, b = 7.365 Å, c = 4.558 Å
α = 90.00°, β = 90.00°, γ = 120.00°
Element x y z (fractional)
Y (0.000, 0.433, 0.000)
Y (0.433, 0.000, 0.000)
Y (0.567, 0.567, 0.000)
Mg (0.000, 0.759, 0.500)
Mg (0.241, 0.241, 0.500)
Mg (0.759, 0.000, 0.500)
Al (0.000, 0.000, 0.000)
Al (0.333, 0.667, 0.500)
Al (0.667, 0.333, 0.500)

Results
final energy	-38.4	eV/cell
formation energy from the elements	-96	kJ/mol of formula units

***

Record 2
## HfSiPt (PBE)

Data for a relaxed structure of HfSiPt.

a = 6.595 Å, b = 3.909 Å, c = 7.577 Å
α = 90.00°, β = 90.00°, γ = 90.00°
Element x y z (fractional)
Hf (0.026, 0.250, 0.177)
Hf (0.474, 0.750, 0.677)
Hf (0.526, 0.250, 0.323)
Hf (0.974, 0.750, 0.823)
Si (0.240, 0.750, 0.378)
Si (0.260, 0.250, 0.878)
Si (0.740, 0.750, 0.122)
Si (0.760, 0.250, 0.622)
Pt (0.146, 0.250, 0.566)
Pt (0.354, 0.750, 0.066)
Pt (0.646, 0.250, 0.934)
Pt (0.854, 0.750, 0.434)

Results
final energy	-99.1	eV/cell
formation energy from the elements	-319	kJ/mol of formula units

***

Record 3
## NdCuSb2 (PBE)

Data for a relaxed structure of NdCuSb2.

a = 4.369 Å, b = 4.369 Å, c = 10.136 Å
α = 90.00°, β = 90.00°, γ = 90.00°
Element x y z (fractional)
Nd (0.250, 0.250, 0.249)
Nd (0.750, 0.750, 0.751)
Cu (0.250, 0.750, 0.500)
Cu (0.750, 0.250, 0.500)
Sb (0.250, 0.250, 0.654)
Sb (0.250, 0.750, 0.000)
Sb (0.750, 0.250, 0.000)
Sb (0.750, 0.750, 0.346)

Results
final energy	-39.6	eV/cell
formation energy from the elements	-295	kJ/mol of formula units

***

Record 4
## ZnSnP2O7 (PBE)

Data for a relaxed structure of ZnSnP2O7.

a = 7.240 Å, b = 9.290 Å, c = 9.340 Å
α = 90.00°, β = 110.14°, γ = 90.00°
Element x y z (fractional)
Zn (0.198, 0.055, 0.304)
Zn (0.198, 0.445, 0.804)
Zn (0.802, 0.555, 0.196)
Zn (0.802, 0.945, 0.696)
Sn (0.270, 0.087, 0.918)
Sn (0.270, 0.413, 0.418)
Sn (0.730, 0.587, 0.582)
Sn (0.730, 0.913, 0.082)
P (0.015, 0.711, 0.961)
P (0.015, 0.789, 0.461)
P (0.408, 0.748, 0.730)
P (0.408, 0.752, 0.230)
P (0.592, 0.248, 0.770)
P (0.592, 0.252, 0.270)
P (0.985, 0.211, 0.539)
P (0.985, 0.289, 0.039)
O (0.002, 0.095, 0.660)
O (0.002, 0.405, 0.160)
O (0.013, 0.135, 0.102)
O (0.013, 0.365, 0.602)
O (0.132, 0.189, 0.453)
O (0.132, 0.311, 0.953)
O (0.233, 0.691, 0.081)
O (0.233, 0.809, 0.581)
O (0.364, 0.590, 0.753)
O (0.364, 0.910, 0.253)
O (0.405, 0.239, 0.315)
O (0.405, 0.261, 0.815)
O (0.420, 0.651, 0.360)
O (0.420, 0.849, 0.860)
O (0.580, 0.151, 0.140)
O (0.580, 0.349, 0.640)
O (0.595, 0.739, 0.185)
O (0.595, 0.761, 0.685)
O (0.636, 0.090, 0.747)
O (0.636, 0.410, 0.247)
O (0.767, 0.191, 0.419)
O (0.767, 0.309, 0.919)
O (0.868, 0.689, 0.047)
O (0.868, 0.811, 0.547)
O (0.987, 0.635, 0.398)
=====
**Back to the entry**


Works Cited

Clive Hamilton, “Silencing the Scientists: the Rise of Right-Wing Populism”, Our World, United Nations University (March 2011). Retrieved from 

No. 1
Computed, not measured: a relaxed Zn3B2O6 crystal at the PBE level of DFT.

Calculated values
- Excess energy over the best structure of this formula in the dataset: 5.9 meV per atom
- ΔH_f (0 K): -2.2742 eV/atom

```
Zn3B2O6
1.0
-7.8972 1.8365 9.5582
-4.3973 -1.1814 11.6776
3.3390 6.6899 4.0119
O Zn B
24 12 8
direct
0.8365 0.4893 0.8699
0.0970 0.7399 0.9296
0.2410 0.8288 0.3507
0.1583 0.7670 0.6489
0.7288 0.9025 0.7704
0.4893 0.8365 0.3699
0.8936 0.2631 0.5691
0.0969 0.2684 0.2294
0.9008 0.5293 0.5901
0.5017 0.3345 0.7890
0.5293 0.9008 0.0901
0.6703 0.4905 0.2082
0.1607 0.5104 0.6294
0.8288 0.2410 0.8507
0.0969 0.4698 0.9093
0.7670 0.1583 0.1489
0.3345 0.5017 0.2890
0.4905 0.6703 0.7082
0.5104 0.1607 0.1294
0.4698 0.0969 0.4093
0.7399 0.0970 0.4296
0.9025 0.7288 0.2704
0.2684 0.0969 0.7294
0.2631 0.8936 0.0691
0.0988 0.4807 0.4620
0.8093 0.4428 0.3697
0.4807 0.0988 0.9620
0.5552 0.1893 0.6294
0.5168 0.9002 0.5377
0.1893 0.5552 0.1294
0.1277 0.7722 0.4242
0.9002 0.5168 0.0377
0.8752 0.2200 0.0747
0.2200 0.8752 0.5747
0.7722 0.1277 0.9242
0.4428 0.8093 0.8697
0.2540 0.6130 0.7868
0.7361 0.3921 0.7118
0.0004 0.3727 0.7297
0.3921 0.7361 0.2118
0.6130 0.2540 0.2868
0.6269 0.9967 0.2698
0.3727 0.0004 0.2297
0.9967 0.6269 0.7698
```


No. 2
Computed, not measured: a relaxed Cs3In3P4O16 crystal at the PBE level of DFT.

Calculated values
- ΔH_f (0 K): -2.5444 eV/atom

```
Cs3In3P4O16
1.0
5.1029 8.3507 0.0000
-5.1029 8.3507 0.0000
0.0000 0.2635 10.1013
O In Cs P
32 6 6 8
direct
0.4391 0.0932 0.2941
0.3763 0.7428 0.5752
0.3365 0.8341 0.8536
0.1731 0.7538 0.4156
0.7473 0.0183 0.6865
0.0183 0.7473 0.1865
0.7538 0.1731 0.9156
0.0932 0.4391 0.7941
0.8269 0.2462 0.5844
0.2698 0.1584 0.7976
0.2572 0.6237 0.9248
0.2874 0.1273 0.5082
0.7428 0.3763 0.0752
0.6635 0.1659 0.1464
0.5609 0.9068 0.7059
0.8416 0.7302 0.7024
0.1659 0.6635 0.6464
0.1130 0.9463 0.6136
0.2527 0.9817 0.3135
0.6237 0.2572 0.4248
0.0537 0.8870 0.8864
0.1273 0.2874 0.0082
0.8727 0.7126 0.9918
0.2462 0.8269 0.0844
0.8870 0.0537 0.3864
0.7302 0.8416 0.2024
0.9817 0.2527 0.8135
0.1584 0.2698 0.2976
0.9068 0.5609 0.2059
0.7126 0.8727 0.4918
0.9463 0.1130 0.1136
0.8341 0.3365 0.3536
0.3280 0.9651 0.6691
0.9164 0.0836 0.7500
0.9651 0.3280 0.1691
0.0349 0.6720 0.8309
0.0836 0.9164 0.2500
0.6720 0.0349 0.3309
0.3316 0.4438 0.1855
0.6684 0.5562 0.8145
0.4438 0.3316 0.6855
0.5000 0.0000 0.0000
0.5562 0.6684 0.3145
0.0000 0.5000 0.5000
0.2261 0.7949 0.9387
0.1156 0.2833 0.8551
0.7949 0.2261 0.4387
0.2833 0.1156 0.3551
0.7167 0.8844 0.6449
0.2051 0.7739 0.5613
0.7739 0.2051 0.0613
0.8844 0.7167 0.1449
```


No. 3
Computed, not measured: a relaxed MgTi2O4 crystal at the PBE level of DFT.

Calculated values
- Excess energy over the best structure of this formula in the dataset: 132.0 meV per atom
- ΔH_f (0 K): -3.0893 eV/atom

```
MgTi2O4
1.0
1.4560 7.4951 0.0000
-1.4560 7.4951 0.0000
0.0000 6.1445 7.4207
O Ti Mg
8 4 2
direct
0.8480 0.8480 0.1129
0.1671 0.1671 0.1625
0.1520 0.1520 0.8871
# End of the calculated crystals

Emily Berman and Jacob Carter, “Policy Analysis: Scientific Integrity in Federal Policymaking Under Past and Present Administrations”, Journal of Science Policy and Governance 13, 1 (Sept. 2018). 

Jacob Carter, Anite Desikan, Gretchen Goldman, “The Trump Administration Has Attacked Science 100 Times… And Counting”, Scientific American (May 2019). Retrieved from 

Jan-Werner Müller, “How Populists Will Leverage the Coronavirus Pandemic”, World Politics Review (April 2020). Retrieved from 

Union of Concerned Scientists, “Attacks on Science”, UCS USA (Jan. 2017). Retrieved from 

United States House of Representatives Committee on Government Reform, “Politics and Science in the Bush Administration” (Report for Rep. Henry A. Waxman, August 2003). Retrieved from